Custom GHS Chemical Safety Labels

Century Graphics & Sign, a leading custom GHS label supplier, can provide GHS labels. The Globally Harmonized System (GHS) is a worldwide initiative to promote standard criteria for classifying chemicals according to their health, physical, and environmental hazards. This system uses pictograms, hazard statements, and signal words like "Danger" and "Warning" to communicate hazardous information on product labels and safety datasheets logically and comprehensively. The consistent and widespread use of the GHS system will lead to a better-protected worker, a safer workplace, and a cleaner environment.
Each GHS Label is designed with specific information and relies on data from the product's Safety Data Sheet (SDS). Let us help you keep your hazard communication program up-to-date and compliant. Call or email us today for your custom information.
Century Graphics can meet all your needs as a custom GHS chemical safety label provider. We offer other labels, including:
- NFPA Signs
- D.O.T. Placards
This product is not available for order online. To place an order, please Contact us at 1-800-228-4467 or email us at

1 Product Identifier - This should match the product identifier on the Safety Data Sheet (SDS).
2 Signal Word - Either use "Danger" (severe) or "Warning" (less severe).
3 Hazard Statements - A phrase assigned to a hazard class that describes the nature of the product's hazards.
4 Precautionary Statements - Recommended measures to minimize/prevent adverse effects from exposure.
5 Supplier Identification - The manufacturer's or supplier's name, address, and telephone number.
6 Pictograms - Graphical symbols intended to convey specific hazard information visually.
Common GHS Labels
Crude Oil

Natural Gas

-- Records of crystals, as found in the file --
/*
(1)
Computed, not measured: a relaxed Pu2Pt2Rh crystal at the PBE-GGA level of DFT.

a = 4.603 Å, b = 5.417 Å, c = 8.323 Å
α = 90.00°, β = 90.00°, γ = 90.00°
Sites, in units of the cell vectors:
Pu 0.000 0.000 0.191
Pu 0.000 0.000 0.809
Pu 0.500 0.500 0.309
Pu 0.500 0.500 0.691
Pt 0.000 0.257 0.500
Pt 0.000 0.743 0.500
Pt 0.500 0.243 0.000
Pt 0.500 0.757 0.000
Rh 0.000 0.500 0.000
Rh 0.500 0.000 0.500

The density of states at the Fermi level comes out at 17.03 states/eV/f.u. As for the total energy: -10.279 eV/atom. The total magnetization is 2.132 μB per atom.

=====

(2)
Computed, not measured: a relaxed PuPtRh4 crystal at the PBE-GGA level of DFT.

a = 5.207 Å, b = 5.207 Å, c = 5.207 Å
α = 60.00°, β = 60.00°, γ = 60.00°
Sites, in units of the cell vectors:
Pu 0.000 0.000 0.000
Pt 0.750 0.750 0.750
Rh 0.376 0.376 0.376
Rh 0.376 0.376 0.873
Rh 0.376 0.873 0.376
Rh 0.873 0.376 0.376

The density of states at the Fermi level comes out at 10.12 states/eV/f.u. As for the total energy: -8.491 eV/atom. The total magnetization is 0.542 μB per atom.

=====

(3)
Computed, not measured: a relaxed Pu6Pt3Rh crystal at the PBE-GGA level of DFT.

a = 5.546 Å, b = 7.767 Å, c = 12.089 Å
α = 90.00°, β = 114.32°, γ = 90.00°
Sites, in units of the cell vectors:
Pu 0.002 0.159 0.072
Pu 0.002 0.341 0.572
Pu 0.338 0.155 0.412
Pu 0.338 0.345 0.912
Pu 0.354 0.522 0.245
Pu 0.354 0.978 0.745
Pu 0.646 0.022 0.255
Pu 0.646 0.478 0.755
Pu 0.662 0.655 0.088
Pu 0.662 0.845 0.588
Pu 0.998 0.659 0.428
Pu 0.998 0.841 0.928
Pt 0.130 0.637 0.745
Pt 0.130 0.863 0.245
Pt 0.500 0.000 0.000
Pt 0.500 0.500 0.500
Pt 0.870 0.137 0.755
Pt 0.870 0.363 0.255
Rh 0.000 0.000 0.500
Rh 0.000 0.500 0.000

The density of states at the Fermi level comes out at 46.60 states/eV/f.u. As for the total energy: -11.603 eV/atom. The total magnetization is 1.113 μB per atom.

=====

(4)
Computed, not measured: a relaxed Pu12Pt6Rh crystal at the PBE-GGA level of DFT.

a = 7.401 Å, b = 7.401 Å, c = 7.401 Å
α = 93.80°, β = 93.80°, γ = 93.80°
Sites, in units of the cell vectors:
Pu 0.040 0.321 0.926
Pu 0.074 0.960 0.679
Pu 0.114 0.357 0.434
Pu 0.321 0.926 0.040
Pu 0.357 0.434 0.114
Pu 0.434 0.114 0.357
Pu 0.566 0.886 0.643
Pu 0.643 0.566 0.886
Pu 0.679 0.074 0.960
Pu 0.886 0.643 0.566
Pu 0.926 0.040 0.321
Pu 0.960 0.679 0.074
Pt 0.234 0.742 0.383
Pt 0.258 0.617 0.766
Pt 0.383 0.234 0.742
Pt 0.617 0.766 0.258
Pt 0.742 0.383 0.234
Pt 0.766 0.258 0.617
Rh 0.500 0.500 0.500

The density of states at the Fermi level comes out at 70.33 states/eV/f.u. As for the total energy: -11.792 eV/atom. The total magnetization is 0.028 μB per atom.

=====

- What is the formula in the fourth record?
  Pu12Pt6Rh

=====

What did the fourth record say?
Computed, not measured: a relaxed Pu12Pt6Rh crystal at the PBE-GGA level of DFT.

a = 7.401 Å, b = 7.401 Å, c = 7.401 Å
α = 93.80°, β = 93.80°, γ = 93.80°
Sites, in units of the cell vectors:
Pu 0.040 0.321 0.926
Pu 0.074 0.960 0.679
Pu 0.114 0.357 0.434
Pu 0.321 0.926 0.040
*/

Produced Saltwater

These calculated crystals were left in the text by mistake
____________
{"formula": "MgNi2", "functional": "PBE-GGA", "state": "relaxed", "total_magnetization_mub_per_cell": 0.001, "n_ef_per_ev_cell": 5.7, "sg": "P6_3/mmc", "e_tot_ev_per_atom": -4.40, "cell": [[4.208, 0.000, 0.000], [-2.104, 3.645, 0.000], [0.000, 0.000, 5.002]], "species": ["Mg", "Mg", "Ni", "Ni", "Ni", "Ni"], "fractional_positions": [[0.333, 0.667, 0.250], [0.667, 0.333, 0.750], [0.000, 0.000, 0.000], [0.000, 0.000, 0.500], [0.333, 0.667, 0.750], [0.667, 0.333, 0.250]]}
____________

Raw Mix

Produced Water

## Data records, kept here for reference
=====
Material: PrYAu2
Method: DFT, GGA-PBE
State: relaxed

Computed properties:
- VASP energy: -21.08 eV per cell
- Energy of formation from the pure elements: -0.83 eV per atom
- Calculated volume: 101 Å³/cell
- Space group: Amm2, No. 38

Cell: 4.736 5.911 5.911 Å, 37.63 90.00 90.00°
Element x y z (fractional)
Au: 0.000 0.088 0.088
Au: 0.500 0.913 0.913
Pr: 0.000 0.361 0.361
Y: 0.500 0.638 0.638

=====

First-principles (GGA-PBE) data for a relaxed Tb3AlNi8 crystal, as listed in OQMD via LeMat-Bulk.

abc: 5.069 5.069 16.006
angles: 90.00 90.00 120.00
Positions (direct):
Al 0.000 0.000 0.000
Al 0.000 0.000 0.500
Ni 0.169 0.338 0.126
Ni 0.169 0.831 0.126
Ni 0.662 0.831 0.126
Ni 0.000 0.000 0.250
Ni 0.333 0.667 0.250
Ni 0.169 0.831 0.374
Ni 0.662 0.831 0.374
Ni 0.169 0.338 0.374
Ni 0.831 0.662 0.626
Ni 0.338 0.169 0.626
Ni 0.831 0.169 0.626
Ni 0.000 0.000 0.750
Ni 0.667 0.333 0.750
Ni 0.338 0.169 0.874
Ni 0.831 0.169 0.874
Ni 0.831 0.662 0.874
Tb 0.667 0.333 0.045
Tb 0.667 0.333 0.250
Tb 0.667 0.333 0.455
Tb 0.333 0.667 0.545
Tb 0.333 0.667 0.750
Tb 0.333 0.667 0.955

Summary:
- ρ (g/cm³) = 9.08
- V (Å³/atom) = 14.8
- VASP energy (eV per cell) = -134.94
- symmetry = No. 194
- crystal system = hexagonal
- magnetization (μB per formula unit) = 0.01

First-principles (GGA-PBE) data for a relaxed Er2ZnHgAs2O2 crystal, as listed in OQMD via LeMat-Bulk.

abc: 3.991 3.991 8.984
angles: 90.00 90.00 90.00
Positions (direct):
As 0.000 0.500 0.203
As 0.500 0.000 0.797
Er 0.500 0.000 0.384
Er 0.000 0.500 0.616
Hg 0.000 0.000 0.000
O 0.000 0.000 0.500
O 0.500 0.500 0.500
Zn 0.500 0.500 0.000

Summary:
- ρ (g/cm³) = 9.08
- V (Å³/atom) = 17.9
- VASP energy (eV per cell) = -43.24
- symmetry = No. 115
- crystal system = tetragonal
- magnetization (μB per formula unit) = 0.00

First-principles (GGA-PBE) data for a relaxed GdTmMg2Ag4 crystal, as listed in OQMD via LeMat-Bulk.

abc: 4.904 4.904 6.940
angles: 90.00 90.00 90.00
Positions (direct):
Ag 0.500 0.000 0.256
Ag 0.000 0.500 0.256
Ag 0.500 0.000 0.744
Ag 0.000 0.500 0.744
Gd 0.000 0.000 0.000
Mg 0.500 0.500 0.000
Mg 0.000 0.000 0.500
Tm 0.500 0.500 0.500

Summary:
- ρ (g/cm³) = 8.02
- V (Å³/atom) = 20.9
- VASP energy (eV per cell) = -25.97
- symmetry = No. 123
- crystal system = tetragonal
- magnetization (μB per formula unit) = 0.01

=====

Entry 1:
Here is InTeSN2 after structural relaxation from the Alexandria database. Energies are from GGA-PBE.

abc: 4.256 4.256 5.596
angles: 90.00 90.00 90.00
Each line ends with the local moment (μB).
Atoms (fractional coordinates):
N 0.000 0.500 0.000  1.14
Te 0.500 0.500 0.500  0.20
N 0.500 0.000 0.000  1.14
In 0.000 0.000 0.000  -0.01
S 0.000 0.000 0.500  0.03

## Properties
The value obtained for the total magnetization is 3.7 μB per formula unit. The value obtained for the total DFT energy (no corrections) is -19.4 eV/f.u.

***

Entry 2:
Here is InTe2SN after structural relaxation from the Alexandria database. Energies are from GGA-PBE.

abc: 5.803 5.803 4.013
=====

The GHS System (Globally Harmonized System) is a worldwide initiative to promote standard criteria for classifying chemicals according to their health, physical and environmental hazards. This system uses pictograms, hazard statements, and signal words like "Danger" and "Warning" to better communicate Hazard Information on product labels and safety data sheet in a logical and comprehensive way. The consistent and widespread use of the GHS system will lead to a better protected worker, a safer workplace and a cleaner environment.
With all of this, GHS will reduce costly and time-consuming activities needed to comply with multiple classification and labeling systems, promoting more consistency in regulation and reducing non-tariff barriers to trade.
Each GHS Label is designed with specific information in mind - and relies on data from the products Safety Data Sheet (SDS). Let us help you prepare your facility for GHS with identification products that will help keep your hazard communication program up-to-date and compliant. Call or email us today for your custom information.
- Product Identifier - Should match the product identifier on the Safety Data Sheet (SDS).
- Signal Word - Either use "Danger" (severe) or "Warning" (less severe).
- Hazard Statements - A phrase assigned to a hazard class that describes the nature of the products hazards.
- Precautionary Statements - Recommended measure to minimize/prevent adverse effects from exposure.
- Supplier Identification - The name, address, and telephone number of the manufacturer or supplier.
- Pictograms - Graphical symbols intended to convey specific hazard information visually.